(f) 基於上文第 74 及 80 段说明的理由,涂谨申议员的第 二及三项对详题的修正案,以及李永达议员对详题的 修正案均不可提出。 legco.gov.hk | (f) for reasons stated in paragraphs 74 and 80, Hon James TO's second and third CSAs to the long title and Hon LEE Wing-tat's CSA to the long title are not admissible. legco.gov.hk |
他强调,他已依照有 关程序处理李永达议员的要求。 legco.gov.hk | He stressed that he had handled Mr LEE Wing-tat's request in accordance with the relevant procedures. legco.gov.hk |
他建 议将议员就处理李永达议员的建议所提出的各 个方案付诸表决。 legco.gov.hk | He suggested that the various options put forth by Members for handling Mr LEE Wing-tat's proposal be put to vote. legco.gov.hk |
内务委员会主席回应刘秀成议员时澄 清,李永达议员的建议是授权发展事务委员会 行使《权力及特权条例》所赋予的权力,而不 是委任小组委员会跟进有关事宜。 legco.gov.hk | In response to Prof Patrick LAU, the Chairman clarified that Mr LEE Wing-tat's proposal was to authorize the Dev Panel to exercise the powers under the P&P Ordinance, and not to appoint a subcommittee to follow up the matter. legco.gov.hk |
我亦在此顺便回答李永达议员的党友涂谨 申议员在6月 22日会议上的质询。 legco.gov.hk | I will also answer in passing to the question raised by Mr LEE Wing-tat's fellow party member, Mr James TO, in the meeting of 22 June. legco.gov.hk |
就李议员的质询,我希望先回应第(二)部分的质询,即是对补偿湿 地的标准和指引,然後再解释监察湿地的保育情况。 legco.gov.hk | I would like to respond to the second part of Mr LEE Wing-tat's question, that is, the standards and guidelines for compensatory wetlands, before explaining how we monitor the conservation of the wetlands. legco.gov.hk |
不过,想不到很有 逻辑、辩才很好的曾议员竟然说支持恢复二读辩论,是因为不想李永达议员 的工作不能见天日。 legco.gov.hk | Who would have thought that the very logical and eloquent Mr TSANG would say that they will support the Second Reading debate because they do not wish to see Mr LEE Wing-tat's work wasted? legco.gov.hk |
换言之,这项条文确是规管具误 导性或欺骗性的行为,但王永平局长当天回答李永达的质询时表示,当局只 可以规管销售行为,不可以规管合约。 legco.gov.hk | In other words, it is true that this section regulates misleading or deceptive conduct, however, when Secretary Joseph WONG replied to Mr LEE Wing-tat's question on that day, he said that the authorities could only regulate marketing practices but not contracts. legco.gov.hk |
Next to the text, the page also holds records of crystals:
____________
No. 1
This entry pairs a crystal structure of SiBO3 with its theoretical X-ray diffraction stick pattern. Radiation: Cu Kα (λ = 1.5418 Å). Structure: a cell relaxed with PBE.

Crystal structure
```
data_SiBO3
_chemical_formula_sum 'Si1 B1 O3'
_space_group_name_H-M_alt 'P m -3 m'
_space_group_IT_number 221
_space_group_name_Hall '-P 4 2 3'
_cell_length_a 3.5027
_cell_length_b 3.5027
_cell_length_c 3.5027
_cell_angle_alpha 90.00
_cell_angle_beta 90.00
_cell_angle_gamma 90.00
loop_
_atom_site_label
_atom_site_type_symbol
_atom_site_fract_x
_atom_site_fract_y
_atom_site_fract_z
Si1 Si 0.0000 0.0000 0.0000
B1 B 0.5000 0.5000 0.5000
O1 O 0.0000 0.0000 0.5000
```

Main lines, most intense first (10° ≤ 2θ ≤ 90°):
2θ/deg	I/Imax	(hkl)
25.4	100	1 0 0
52.2	56	2 0 0
59.0	31	2 1 0
77.0	29	2 2 0
36.3	21	1 1 0
82.6	13	3 0 0
44.8	12	1 1 1
65.2	9	2 1 1
88.2	5	3 1 0

***

No. 2
This entry pairs a crystal structure of SiBO3 with its theoretical X-ray diffraction stick pattern. Radiation: Cu Kα (λ = 1.5418 Å). Structure: a cell relaxed with PBE.

Crystal structure
```
data_SiBO3
_chemical_formula_sum 'Si1 B1 O3'
_space_group_name_H-M_alt 'P m -3 m'
_space_group_IT_number 221
_space_group_name_Hall '-P 4 2 3'
_cell_length_a 3.3363
_cell_length_b 3.3363
_cell_length_c 3.3363
_cell_angle_alpha 90.00
_cell_angle_beta 90.00
_cell_angle_gamma 90.00
loop_
_atom_site_label
_atom_site_type_symbol
_atom_site_fract_x
_atom_site_fract_y
_atom_site_fract_z
Si1 Si 0.0000 0.0000 0.0000
B1 B 0.5000 0.5000 0.5000
O1 O 0.0000 0.5000 0.5000
```

Main lines, most intense first (10° ≤ 2θ ≤ 90°):
2θ/deg	I/Imax	(hkl)
47.2	100	1 1 1
55.1	63	2 0 0
81.6	33	2 2 0
38.1	25	1 1 0
68.9	11	2 1 1
62.2	2	2 1 0
87.8	2	3 0 0
26.7	1	1 0 0

***

No. 3
This entry pairs a crystal structure of Si2B2O5 with its theoretical X-ray diffraction stick pattern. Radiation: Cu Kα (λ = 1.5418 Å). Structure: a cell relaxed with PBE.

Crystal structure
```
data_Si2B2O5
_chemical_formula_sum 'Si2 B2 O5'
_space_group_name_H-M_alt 'P 4/m m m'
_space_group_IT_number 123
_space_group_name_Hall '-P 4 2'
_cell_length_a 3.4050
_cell_length_b 3.4050
_cell_length_c 6.8042
_cell_angle_alpha 90.00
_cell_angle_beta 90.00
_cell_angle_gamma 90.00
loop_
_atom_site_label
_atom_site_type_symbol
_atom_site_fract_x
_atom_site_fract_y
_atom_site_fract_z
Si1 Si 0.0000 0.0000 0.0000
Si2 Si 0.0000 0.0000 0.5000
B1 B 0.5000 0.5000 0.2119
O1 O 0.0000 0.5000 0.2680
O2 O 0.5000 0.5000 0.0000
```

Main lines, most intense first (10° ≤ 2θ ≤ 90°):
2θ/deg	I/Imax	(hkl)
46.2	100	1 1 2
53.9	63	2 0 0
37.4	43	1 0 2
79.7	32	2 2 0
67.4	16	2 1 2
29.3	12	1 0 1
13.0	11	0 0 1
39.7	10	0 0 3
26.2	10	1 0 0
60.9	7	1 0 4

***

No. 4
This entry pairs a crystal structure of SrSi2B2O8 with its theoretical X-ray diffraction stick pattern. Radiation: Cu Kα (λ = 1.5418 Å). Structure: a cell relaxed with PBE.

Crystal structure
```
data_SrSi2B2O8
_chemical_formula_sum 'Sr4 Si8 B8 O32'
_space_group_name_H-M_alt 'P n m a'
_space_group_IT_number 62
_cell_length_a 8.2878
____________
鉴 於李永达议员的关注,她已指示人事编制小组 委员会秘书向政府当局转达李议员的关注。 legco.gov.hk | In view of Mr LEE Wing-tat's concern, she had already instructed the Clerk to ESC to relay his concern to the Administration. legco.gov.hk |
李永达议员提出的议案,目的是在现有基础上,在已有的客观资源上, 使香港这个已建立且具相当公信力和为市民所认同的唯一公营广播服务机 构,不论是在身份、管治架构和运作模式上,也能真真正正成为一个与国际 相称的公营广播服务机构。 legco.gov.hk | The purpose of Mr LEE Wing-tat's motion is to enable RTHK, the only public broadcaster established in Hong Kong with credibility and public recognition, to operate as a genuine public broadcaster, on the existing foundation and with the acquired resources, up to international standards in terms of status, governance structure and modus operandi. legco.gov.hk |
我很希望各位同事稍後可以支持李永达议员的议案,亦可以支持 何秀兰议员的修正案。 legco.gov.hk | I hope very much that Honourable colleagues can support Mr LEE Wing-tat's motion as well as Ms Cyd HO's amendment later on. legco.gov.hk |
潘国濂议员的修订动议较为可取,因为他㆒方面用较温和的态度指出㆗港两个政府在 重要的基建问题㆖要协调及配合,而另㆒方面又保留了李永达议员原动议的精神,促请 政府考虑到交通运输问题的重要性。 legco.gov.hk | Moreover, at the same time the amendment motion retains the spirit of Mr LEE Wing-tat's original motion which is to urge the Administration to consider the importance of the transportation problems concerned. legco.gov.hk |
副主席先生,我谨此陈辞,支持李永达议员的动议。 legco.gov.hk | Mr Deputy President, with these remarks, I support the Honourable LEE Wing-tat's motion. legco.gov.hk |
李永达议员的议案很清楚,“积极研究把香港电台转型为‘香港公共广 播公司’的可行性,并就有关检讨及研究的结果进行公众谘询”。 legco.gov.hk | Mr LEE Wing-tat's motion has explicitly pointed out the need to "actively study the feasibility of transforming RTHK to become the Hong Kong Public Broadcasting Corporation, and conduct public consultation on the results of the review and the study". legco.gov.hk |
内务委员会主席表示,她会在议员就 此事表达意见後,请他们就如何处理李永达议 员的要求提出意见。 legco.gov.hk | The Chairman said that she would invite Members' views on the handling of Mr LEE Wing-tat's proposal after Members had expressed their views on the matter. legco.gov.hk |
李永达参加角逐特首既提名有冇增加或者减少你对民主党既好感或者反感? hkupop.hku.hk | Has Lee Wing-tat's contest for the CE nomination increased or reduced your positive or negative feelings towards the Democratic Party? hkupop.hku.hk |
自 由 党 原 则 上 是 同 意 李永达议员的修正案,建 议政府 有 关 方 面可考虑在 人 口 稠 密 ,人流 量 较 高 的地区 开 辟 更多的 行 人 专 用 区 ,人车 分 隔 , 或 规划更 多 像 中 环 行 人 登 山 电 梯 等 该 类 项目。 legco.gov.hk | The Liberal Party agrees in principle with Mr LEE Wing-tat's amendment, which suggests that the relevant government departments should establish more pedestrian precincts in densely populated areas that have a high pedestrian flow, thus separating vehicular and pedestrian traffic. legco.gov.hk |
但是,无论如 何,据我了解,发展事务委员会主席刘秀成议员已接受李永达议员的 建议在本月底举行会议,希望我们就这宗个案再作详细交代。 legco.gov.hk | But in any case, as far as I understand it, the Chairman of the Panel on Development, Prof Patrick LAU, has accepted Mr LEE Wing-tat's proposal of holding a meeting at the end of this month in the hope that we can give further explanations on this case in detail. legco.gov.hk |
首先,客 户需要在库存周转时间(T A T)上有 明显的改进,这就需要全面检查整个 现有系统。 intermec.com.cn | Firstly, the customer requested a significant improvement in stock Turn-Around Times (TATs), which would require a thorough re-examination of existing systems. intermec.com.br |
对於李永达参加角逐特首的提名,分别有68%及73%被访市民表示有关角逐没有影响其对李永达及民主党的观感,但同时亦分别有15%及12%表示对李永达及民主党产生了负面的感觉。 hkupop.hku.hk | Regarding Lee Wing-tat's contest for the CE nomination, 68% and 73% of the respondents said it had no influence on their perceptions towards Lee Wing-tat and the Democratic Party respectively, 15% and 12% said their negative feelings towards Lee Wing-tat and the Democratic Party have increased. hkupop.hku.hk |
而店内管道交错的天花设计及布满滑浪贴纸的墙身令这地就像型格乡村乐队的音乐室。 ilovelkf.hk | Tatted up servers fill up the canvas of a dimly lit bar while visible ceiling pipes and skate stickers mock the studio of a too-cool suburban garage band. ilovelkf.hk |
7.6 李永达议员关注港台是否获得足够资源以落实数码化 措施,商务及经济发展局常任秘书长(通讯及科技)回应时表示, 除编配额外频谱供港台提供数码电视及新的数码声音广播服务 外,当局亦会以资金形式提供资源,以提升其电视录影厂、电 台播音室及制作设备的质素,并加以数码化,此外亦会提供人 手以推行新措施。 legco.gov.hk | Responding to Mr LEE Wing-tat's concern whether RTHK was adequately resourced to implement the initiatives on digitization, The Permanent Secretary for Commerce and Economic Development (Communications and Technology) (PS(CT)) said that on top of the allocation of additional spectrum enabling RTHK to provide digital television and new digital audio broadcasting services, resources would also be provided in terms of capital to upgrade and digitize its television and radio studios and production equipment, as well as manpower to launch the new initiatives. legco.gov.hk |
泰特族群的歧视,尤其是在进入公共场所、获 取住房和就业方面的歧视,并拨出追加资金,寻求以兼顾到罗姆族群,特别是游 民家庭的生活方式,包括增强这些民族语言的教学工作,适当解决将这些儿童融 入教育体制的问题,以确保这些儿童享有该体制所有各级的教育惠益。 daccess-ods.un.org | Roma, the Committee recommends that the State party take active measures to prevent discrimination against the Roma and Romani/Tater communities, in particular regarding their access to public places, housing and employment, and allocate additional resources to find appropriate solutions for integrating children from Roma and Romani communities, especially those from travelling families, into the educational system, to ensure that they benefit fully from all levels of the system, taking into account the community’s lifestyle and including an enhanced teaching provision in their language. daccess-ods.un.org |
民主派方面,何俊仁和李永达名单的支持者,亦同样超过三分之一是主要考虑政党因素,远高於陈伟业、梁耀忠名单和李卓人名单。 hkupop.hku.hk | On the democratic camp's side, over one-third of supporters of both Albert Ho's and Lee Wing-Tat's lists claimed their main consideration was the political party factor, which was far more than Albert Chan, Leung Yiu-Chung's and Lee Cheuk Yan's lists. hkupop.hku.hk |
首先,根据各名单自己报称的政治联系,我们很容易分出陈伟业、李永达名单、何俊仁名单、梁耀忠名单、李卓人名单和严天生名单是属於民主派。 hkupop.hku.hk | First of all, basing on the self-reported political affiliations of various lists, it could be easily identified that Albert Chan, Lee Wing-Tat's list, Albert Ho's list, Leung Yiu-Chung's list, Lee Cheuk-Yan's list and Yim Tin-Sang's list belonged to the democratic camp. hkupop.hku.hk |
思科和一个由本地及国际专家合作伙伴组成的团体——包括马来西亚领先的系统集成商Mesiniaga和KT U-城市咨询——将制定智能城市总体规划,包括基础设施和服务蓝图等内容。 tipschina.gov.cn | Cisco, and a consortium of local and international expert partners -- including Mesiniaga, a leading Malaysian system integrator, and KT u-City Consulting -- will develop, including smart city infrastructure and services blueprints amongst other deliverables, as part of the Smart City master plan. tipschina.gov.cn |
民主派名单中,除了陈伟业支持者中有较多「过档」李永达名单外,其余四张名单都保留大约五成半的票源给自己,另外二至三成游离於其他友好名单之间,应该是地区配票的结果。 hkupop.hku.hk | Among the democratic camp's lists, while relatively more Albert Chan's supporters had shifted to Li Wing-Tat's list, the other 4 lists could keep around 55% of vote shares for themselves. hkupop.hku.hk |